Wednesday, March 9, 2011

**Materials data that have nothing to do with the entry**
********
No. 1
The following is a DFT calculation (PBE) of a relaxed LiMnTc2 crystal.

abc: 2.5902 2.5902 8.7263
angles: 90.00 90.00 108.14
Atoms (fractional coordinates):
1 Li 0.0000 0.0000 0.0000
2 Mn 0.0000 0.0000 0.5000
3 Tc 0.5000 0.5000 0.2661
4 Tc 0.5000 0.5000 0.7339

- relative energy among the computed polymorphs (meV/atom) = 0
- size of the total moment (μB/f.u.) = 1.96
- Fermi-level density of states (states/eV/cell) = 2.9
- V (Å³/atom) = 13.909
- energy relative to the elements (eV/f.u.) = 0.77

No. 2
The following is a DFT calculation (PBE) of a relaxed LiMn2Tc crystal.

abc: 4.7212 4.7212 4.7212
angles: 144.22 129.01 63.86
Atoms (fractional coordinates):
1 Li 0.0000 0.0000 0.0000
2 Mn 0.2594 0.7594 0.5000
3 Mn 0.7406 0.2406 0.5000
4 Tc 0.5000 0.5000 0.0000

- size of the total moment (μB/f.u.) = 0.00
- Fermi-level density of states (states/eV/cell) = 4.4
- V (Å³/atom) = 11.811
- energy relative to the elements (eV/f.u.) = 1.25
********

The Market

Fed Policy Makers Signal Support for Abrupt End to Asset Purchases in June - Craig Torres, Scott Lanman and Steve Matthews
Federal Reserve policy makers are signaling they favor an abrupt end to $600 billion in Treasury purchases in June, jettisoning their prior strategy of gradually pulling back on intervention in bond markets.

Next to the piece, the page also holds materials data
Record 1
Entry from Alexandria via LeMat-Bulk: a geometry-optimized Tl2SbRu structure (GGA-PBEsol).

abc: 3.1428 4.5778 7.0937
angles: 108.82 102.80 90.00
With the nearest neighbours (Å) after each atom.
Sites, in units of the cell vectors:
Ru (0.5131, 0.5131, 0.0263)  2 Sb 2.64, 4 Tl 2.78
Sb (0.1756, 0.6756, 0.3512)  2 Ru 2.64
Tl (0.9964, 0.9964, 0.9929)  4 Ru 2.78
Tl (0.8148, 0.3148, 0.6296)  2 Ru 3.03, 4 Tl 3.14-3.30, 4 Sb 3.32

## Properties
Energy above the most stable polymorph in this dataset in eV/atom: 0.1208
Crystal system: orthorhombic
Raw formation energy in kJ/mol of formula units: 84
Density in g/cm³: 11.167
DOS at the Fermi energy in states/eV per cell: 2.49

=====

Record 2
Entry from Alexandria via LeMat-Bulk: a geometry-optimized TlSb2Ru structure (GGA-PBEsol).

abc: 3.4888 5.1015 5.1015
angles: 108.37 89.91 89.91
With the nearest neighbours (Å) after each atom.
Sites, in units of the cell vectors:
Ru (0.5000, 0.0000, 0.0000)  2 Tl 2.99, 8 Sb 3.09
Sb (0.0000, 0.0000, 0.5000)  2 Sb 2.99, 4 Ru 3.09, 4 Tl 3.09
Sb (0.0000, 0.5000, 0.0000)  2 Sb 2.99, 4 Tl 3.09, 4 Ru 3.09
Tl (0.5000, 0.5000, 0.5000)  2 Ru 2.99, 8 Sb 3.09

## Properties
Crystal system: monoclinic
Raw formation energy in kJ/mol of formula units: 201
Density in g/cm³: 10.579
DOS at the Fermi energy in states/eV per cell: 2.58

=====

Record 3
Entry from Alexandria via LeMat-Bulk: a geometry-optimized TlSb3Ru structure (GGA-PBEsol).

abc: 5.1297 5.1297 5.1297
angles: 90.00 90.00 90.00
With the nearest neighbours (Å) after each atom.
Sites, in units of the cell vectors:
Sb (0.0000, 0.5000, 0.0000)  2 Ru 2.56
Sb (0.0000, 0.0000, 0.5000)  2 Ru 2.56
Sb (0.5000, 0.0000, 0.0000)  2 Ru 2.56
Tl (0.5000, 0.5000, 0.5000)  12 Sb 3.63
Ru (0.0000, 0.0000, 0.0000)  6 Sb 2.56

## Properties
Energy above the most stable polymorph in this dataset in eV/atom: 0.0000
Crystal system: cubic
Raw formation energy in kJ/mol of formula units: 172
Density in g/cm³: 8.251
DOS at the Fermi energy in states/eV per cell: 3.51

=====

Record 4
Entry from Alexandria via LeMat-Bulk: a geometry-optimized Tl2SbRu structure (GGA-PBEsol).

abc: 4.3230 4.3230 5.4780
angles: 113.24 113.24 90.00
With the nearest neighbours (Å) after each atom.
Sites, in units of the cell vectors:
Ru (0.5000, 0.5000, 0.0000)  4 Sb 3.06, 8 Tl 3.14
Sb (0.0000, 0.0000, 0.0000)  4 Ru 3.06, 8 Tl 3.14
Tl (0.7500, 0.2500, 0.5000)  4 Tl 3.06, 4 Sb 3.14, 4 Ru 3.14
Tl (0.2500, 0.7500, 0.5000)  4 Tl 3.06, 4 Sb 3.14, 4 Ru 3.14

## Properties
Energy above the most stable polymorph in this dataset in eV/atom: 0.5566
Crystal system: tetragonal
Raw formation energy in kJ/mol of formula units: 252
Density in g/cm³: 12.345
DOS at the Fermi energy in states/eV per cell: 4.66

=====

Record 5
Entry from Alexandria via LeMat-Bulk: a geometry-optimized TlSb3Ru structure (GGA-PBEsol).

abc: 5.4728 5.4728 5.4728
angles: 90.00 90.00 90.00
With the nearest neighbours (Å) after each atom.
Sites, in units of the cell vectors:
The materials data stop here

“I don’t see a lot of gain to reverting to a tapering approach,” Atlanta Fed President Dennis Lockhart told reporters yesterday. “I don’t think that is necessary,” Philadelphia Fed President Charles Plosser said last month.

Central bankers, who next meet March 15, are about half way through their second round of bond purchases. To bring the program to a full stop in June, they must be confident that the economy is strong enough to endure higher long-term interest rates and rising expectations of an exit from the most expansive monetary policy in Fed history, said Dan Greenhaus at Miller Tabak & Co. LLC in New York.

“If this is a self-sustaining recovery that can withstand higher interest rates, then why not get the hell out?” said Greenhaus, Miller Tabak’s chief economic strategist. “Still, I am nervous about their ability to withdraw from this policy without broader disruptions.”

The Fed announced in November that it would buy $600 billion of Treasuries through June in a bid to boost the recovery and reduce an unemployment rate lingering near a 26- year high. The program, known as QE2 for the second round of so- called quantitative easing, followed $1.7 trillion of asset purchases that ended in March 2010.

QE To Infinity: Not? - DoctoRx
Fed staff members, such as Brian Sack, the New York Fed official in charge of carrying out the bond buying, have argued the total amount, or stock, of securities the Fed has announced it will make has more impact on longer-term interest rates than the timing of those purchases. That’s a view now held by several members on the Federal Open Market Committee, including the chairman.

### The page is interrupted by records of crystals
........
No. 1
Entry from Alexandria: crystalline CoOsPt at its relaxed geometry (PBE).

Cell lengths 4.0035, 4.0035, 4.0035 Å; angles 60.00, 60.00, 60.00 degrees
Last column: nearest neighbours and their distance in Å.
Sites, in units of the cell vectors:
Co 0.7500 0.7500 0.7500  4 Pt 2.45, 4 Os 2.45
Pt 0.5000 0.5000 0.5000  4 Co 2.45
Os 0.0000 0.0000 0.0000  4 Co 2.45

## Properties
* DFT formation energy: 0.5250 eV/atom
* electronic total energy: -22.80 eV for the cell shown



No. 2
Entry from Alexandria: crystalline TaCoOsPt at its relaxed geometry (PBE).

Cell lengths 3.7954, 3.9804, 3.8145 Å; angles 90.00, 90.00, 90.00 degrees
Last column: nearest neighbours and their distance in Å.
Sites, in units of the cell vectors:
Ta 0.0000 0.0000 0.0000  4 Os 2.69, 4 Co 2.75, 4 Pt 2.76
Os 0.5000 0.0000 0.5000  4 Ta 2.69, 4 Pt 2.75, 4 Co 2.76
Pt 0.0000 0.5000 0.5000  4 Co 2.69, 4 Os 2.75, 4 Ta 2.76
Co 0.5000 0.5000 0.0000  4 Pt 2.69, 4 Ta 2.75, 4 Os 2.76

## Properties
* DFT formation energy: -0.3616 eV/atom
* electronic total energy: -37.68 eV for the cell shown



No. 3
Entry from Alexandria: crystalline CoTeOsPt2 at its relaxed geometry (PBE).

Cell lengths 4.5522, 4.5604, 4.5522 Å; angles 90.00, 90.00, 90.00 degrees
Last column: nearest neighbours and their distance in Å.
Sites, in units of the cell vectors:
Os 0.5000 0.5000 0.5000  4 Te 3.22, 8 Pt 3.22
Pt 0.0000 0.0000 0.5000  2 Co 2.28
Pt 0.5000 0.0000 0.0000  2 Co 2.28
Co 0.0000 0.0000 0.0000  4 Pt 2.28, 2 Te 2.28
Te 0.0000 0.5000 0.0000  2 Co 2.28

## Properties
* ΔE_f (raw): 136.94 kJ/mol of atoms
* electronic total energy: -26.46 eV for the cell shown


Computed, not measured: CoNi2N after structural relaxation at the PBE-GGA level of DFT.

Unit cell a=6.6198 b=6.6198 c=5.0542 alpha=49.09 beta=49.09 gamma=90.00
Last column: magnetic moment on the atom in μB.
Fractional positions:
Co: 0.7500 0.2500 0.5000  1.17
Co: 0.0000 0.0000 0.0000  1.17
Ni: 0.8750 0.7545 0.7500  0.13
Ni: 0.3750 0.4955 0.7500  0.16
Ni: 0.2455 0.6250 0.2500  0.14
Ni: 0.5045 0.1250 0.2500  0.14
N: 0.2500 0.7500 0.5000  0.01
N: 0.5000 0.5000 0.0000  0.01

## Properties
calculated density = 7.57 g cm⁻³
D(E_F) = 13.45 states/eV per cell
raw total energy = -6.406 eV per atom
symmetry = I-42d



Computed, not measured: Sm6Tl3Te after structural relaxation at the PBE-GGA level of DFT.

Unit cell a=7.4751 b=9.2672 c=9.2672 alpha=91.33 beta=90.00 gamma=90.00
Fractional positions:
Tl: 0.0020 0.0127 0.3124
Tl: 0.9442 0.4971 0.5029
Tl: 0.5020 0.9873 0.6876
Tl: 0.5020 0.3124 0.0127
Tl: 0.4442 0.5029 0.4971
Tl: 0.0020 0.6876 0.9873
Sm: 0.7836 0.9881 0.0119
Sm: 0.6765 0.3061 0.6939
Sm: 0.2029 0.2112 0.5334
Sm: 0.5821 0.1494 0.3206
Sm: 0.7029 0.5334 0.2112
Sm: 0.2029 0.4666 0.7888
Sm: 0.0821 0.8506 0.6794
Sm: 0.0821 0.3206 0.1494
Sm: 0.1765 0.6939 0.3061
Sm: 0.2836 0.0119 0.9881
Sm: 0.5821 0.6794 0.8506
Sm: 0.7029 0.7888 0.4666
Te: 0.5071 0.8248 0.1752
Te: 0.0071 0.1752 0.8248

## Properties
calculated density = 8.50 g cm⁻³
........

“We learned in the first quarter of last year, when we ended our previous program, that the markets had anticipated that adequately, and we didn’t see any major impact on interest rates,” Fed Chairman Ben S. Bernanke told the Senate Banking Committee during his March 1 semiannual monetary-policy testimony. “It’s really the total amount of holdings, rather than the flow of new purchases, that affects the level of interest rates.”

Fed Vice Chairman Janet Yellen supported that perspective, saying at a monetary policy forum in New York last week that “the stock view won out over the flow view.”
The italicized paragraphs (my doing) above are key. We can hope that this signals that the parties in Washington have agreed, at least in principle, on significant deficit reduction, so that ordinary debt market mechanisms can finance the Federal deficit without the central bank adding to the money supply as it has been doing with quantitative easing. Presumably, it is a show of confidence in the economy. Of course, a year ago a similar show of confidence gave way to the summer slowdown and QE2. Will past be prologue?

Guest Post: The Coming Rout | zero hedge - Bill Quick
The Fed is currently pumping about four billion dollars per day of funny money into the markets (mostly), which has turned stocks, bonds, and commodities into helium-filled balloons.

Turn off the helium-money all at once, and watch all those balloons turn into bricks. Except for gold and silver…maybe.

I’m no longer of the opinion that we’re going to hit new highs on the Dow. I think we’re pushing on a string now, and if they pull the puppet master’s strings, look out below.

From the comments: In other words, “here, hold my beer and watch this…”